-- begin --
Entry 1:
Calculated X-ray powder pattern
Compound: Nd2Tm4Tl
Radiation: Cu Kα, 1.54184 Å
Structure: a cell relaxed with GGA-PBE
Intensities are scaled so that the largest is 100.

Structure:
Unit cell a=6.516 b=6.253 c=10.576 alpha=90.00 beta=90.00 gamma=90.00
Space group Pmna (No. 53)
One atom of each set of equivalent atoms:
Nd (0.000, 0.241, 0.043) (multiplicity 4)
Tm (0.000, 0.069, 0.345) (multiplicity 4)
Tm (0.250, 0.401, 0.750) (multiplicity 4)
Tl (0.000, 0.500, 0.500) (multiplicity 2)

Main lines, in order of falling intensity (10 to 80 degrees two-theta):
d (Å), 2θ/deg, I_rel, h k l
2.776, 32.2, 100, 2 0 2
2.724, 32.9, 72, 1 2 1
2.535, 35.4, 54, 2 1 2
2.998, 29.8, 37, 0 2 1
2.435, 36.9, 34, 0 1 4
2.787, 32.1, 32, 2 1 1

***

Entry 2:
Calculated X-ray powder pattern
Compound: Nd2Tm3Tl2
Radiation: Cu Kα, 1.54184 Å
Structure: a cell relaxed with GGA-PBE
Intensities are scaled so that the largest is 100.

Structure:
Unit cell a=11.792 b=4.664 c=8.418 alpha=90.00 beta=110.34 gamma=90.00
Space group C2/m (No. 12)
One atom of each set of equivalent atoms:
Nd (0.127, 0.000, 0.280) (multiplicity 4)
Tm (0.000, 0.500, 0.500) (multiplicity 2)
Tm (0.129, 0.500, 0.941) (multiplicity 4)
Tl (0.171, 0.000, 0.702) (multiplicity 4)

Main lines, in order of falling intensity (10 to 80 degrees two-theta):
d (Å), 2θ/deg, I_rel, h k l
2.991, 29.9, 100, 3 1 -1
2.729, 32.8, 98, 1 1 2
2.332, 38.6, 48, 0 2 0
2.782, 32.2, 39, 2 0 -3
2.712, 33.0, 37, 3 1 -2
2.892, 30.9, 33, 3 1 0


1.
Diffraction record for KCd. The X-ray powder pattern is simulated, not measured: it uses DFT lattice parameters and positions (PBE) and Cu Kα.

Structure:
```
data_KCd
_space_group_name_H-M_alt 'R -3 m'
_space_group_IT_number 166
_space_group_name_Hall '-R 3 2"'
_cell_length_a 5.2973
_cell_length_b 5.2973
_cell_length_c 20.1641
_cell_angle_alpha 90.00
_cell_angle_beta 90.00
_cell_angle_gamma 120.00
loop_
_atom_site_label
_atom_site_fract_x
_atom_site_fract_y
_atom_site_fract_z
K1 0.0000 0.0000 0.1008
Cd1 0.0000 0.0000 0.3327
```

Most intense lines, 10 to 90 degrees two-theta, in order of rising 2θ:
(0 0 3), 2θ = 13.17°, intensity 100
(0 1 2), 2θ = 21.28°, intensity 21
(1 0 4), 2θ = 26.27°, intensity 48
(0 1 5), 2θ = 29.49°, intensity 45
(1 1 0), 2θ = 33.84°, intensity 74
(1 1 3), 2θ = 36.46°, intensity 52
(1 1 6), 2θ = 43.50°, intensity 21
(1 1 9), 2θ = 53.58°, intensity 37

***

2.
Diffraction record for Pr3Si. The X-ray powder pattern is simulated, not measured: it uses DFT lattice parameters and positions (PBE) and Cu Kα.

Structure:
```
data_Pr3Si
_space_group_name_H-M_alt 'P 42/n'
_space_group_IT_number 86
_cell_length_a 12.4837
_cell_length_b 12.4837
_cell_length_c 6.1802
_cell_angle_alpha 90.00
_cell_angle_beta 90.00
_cell_angle_gamma 90.00
loop_
_space_group_symop_operation_xyz
'x,y,z'
'-x,-y,-z'
'-y,x+1/2,z+1/2'
'y,-x+1/2,-z+1/2'
'-x+1/2,-y+1/2,z'
'x+1/2,y+1/2,-z'
'y+1/2,-x,z+1/2'
'-y+1/2,x,-z+1/2'
loop_
_atom_site_label
_atom_site_fract_x
_atom_site_fract_y
_atom_site_fract_z
Pr1 0.0284 0.5739 0.2427
Pr2 0.1147 0.2165 0.0149
Pr3 0.1339 0.6686 0.7319
Si1 0.0469 0.2050 0.5259
```

Most intense lines, 10 to 90 degrees two-theta, in order of rising 2θ:
(3 1 1), 2θ = 26.80°, intensity 39
(2 3 1), 2θ = 29.57°, intensity 100
(3 3 0), 2θ = 30.38°, intensity 24
(1 1 2), 2θ = 30.65°, intensity 59
(2 4 0), 2θ = 32.08°, intensity 60
(4 1 1), 2θ = 32.94°, intensity 72
(1 3 2), 2θ = 36.94°, intensity 31
(3 5 2), 2θ = 51.96°, intensity 27

***

3.
Diffraction record for Er2Al2SnRh5. The X-ray powder pattern is simulated, not measured: it uses DFT lattice parameters and positions (PBE) and Cu Kα.

Structure:
```
data_Er2Al2SnRh5
_space_group_name_H-M_alt 'P 4/m b m'
_space_group_IT_number 127
_space_group_name_Hall '-P 4 2ab'
_cell_length_a 9.8572
_cell_length_b 9.8572
_cell_length_c 3.5251
_cell_angle_alpha 90.00
_cell_angle_beta 90.00
_cell_angle_gamma 90.00
loop_
_atom_site_label
_atom_site_fract_x
_atom_site_fract_y
_atom_site_fract_z
Er1 0.1751 0.3249 0.0000
-- stop --

Please reproduce all of the material further above without altering anything.

Entry 1:
Calculated X-ray powder pattern
Compound: Nd2Tm4Tl
Radiation: Cu Kα, 1.54184 Å
Structure: a cell relaxed with GGA-PBE
Intensities are scaled so that the largest is 100.

Structure:
Unit cell a=6.516 b=6.253 c=10.576 alpha=90.00 beta=90.00 gamma=90.00
Space group Pmna (No. 53)
One atom of each set of equivalent atoms:
Nd (0.000, 0.241, 0.043) (multiplicity 4)
Tm (0.000, 0.069, 0.345) (multiplicity 4)
Tm (0.250, 0.401, 0.750) (multiplicity 4)
Tl (0.000, 0.500, 0.500) (multiplicity 2)

Main lines, in order of falling intensity (10 to 80 degrees two-theta):
d (Å), 2θ/deg, I_rel, h k l
2.776, 32.2, 100, 2 0 2
2.724, 32.9, 72, 1 2 1
2.535, 35.4, 54, 2 1 2
2.998, 29.8, 37, 0 2 1
2.435, 36.9, 34, 0 1 4
2.787, 32.1, 32, 2 1 1

***

Entry 2:
Calculated X-ray powder pattern
Compound: Nd2Tm3Tl2
Radiation: Cu Kα, 1.54184 Å
Structure: a cell relaxed with GGA-PBE
Intensities are scaled so that the largest is 100.

Structure:
Unit cell a=11.792 b=4.664 c=8.418 alpha=90.00 beta=110.34 gamma=90.00
Space group C2/m (No. 12)
One atom of each set of equivalent atoms:
Nd (0.127, 0.000, 0.280) (multiplicity 4)
Tm (0.000, 0.500, 0.500) (multiplicity 2)
Tm (0.129, 0.500, 0.941) (multiplicity 4)
Tl (0.171, 0.000, 0.702) (multiplicity 4)

Main lines, in order of falling intensity (10 to 80 degrees two-theta):
d (Å), 2θ/deg, I_rel, h k l
2.991, 29.9, 100, 3 1 -1
2.729, 32.8, 98, 1 1 2
2.332, 38.6, 48, 0 2 0
2.782, 32.2, 39, 2 0 -3
2.712, 33.0, 37, 3 1 -2
2.892, 30.9, 33, 3 1 0


1.
Diffraction record for KCd. The X-ray powder pattern is simulated, not measured: it uses DFT lattice parameters and positions (PBE) and Cu Kα.

Structure:
```
data_KCd
_space_group_name_H-M_alt 'R -3 m'
_space_group_IT_number 166
_space_group_name_Hall '-R 3 2"'
_cell_length_a 5.2973
_cell_length_b 5.2973
_cell_length_c 20.1641
_cell_angle_alpha 90.00
_cell_angle_beta 90.00
_cell_angle_gamma 120.00
loop_
_atom_site_label
_atom_site_fract_x
_atom_site_fract_y
_atom_site_fract_z
K1 0.0000 0.0000 0.1008
Cd1 0.0000 0.0000 0.3327
```

Most intense lines, 10 to 90 degrees two-theta, in order of rising 2θ:
(0 0 3), 2θ = 13.17°, intensity 100
(0 1 2), 2θ = 21.28°, intensity 21
(1 0 4), 2θ = 26.27°, intensity 48
(0 1 5), 2θ = 29.49°, intensity 45
(1 1 0), 2θ = 33.84°, intensity 74
(1 1 3), 2θ = 36.46°, intensity 52
(1 1 6), 2θ = 43.50°, intensity 21
(1 1 9), 2θ = 53.58°, intensity 37

***

2.
Diffraction record for Pr3Si. The X-ray powder pattern is simulated, not measured: it uses DFT lattice parameters and positions (PBE) and Cu Kα.

Structure:
```
data_Pr3Si
_space_group_name_H-M_alt 'P 42/n'
_space_group_IT_number 86
_cell_length_a 12.4837
_cell_length_b 12.4837
_cell_length_c 6.1802
_cell_angle_alpha 90.00
_cell_angle_beta 90.00
_cell_angle_gamma 90.00
loop_
_space_group_symop_operation_xyz
'x,y,z'
'-x,-y,-z'
'-y,x+1/2,z+1/2'
'y,-x+1/2,-z+1/2'
'-x+1/2,-y+1/2,z'
'x+1/2,y+1/2,-z'
'y+1/2,-x,z+1/2'
'-y+1/2,x,-z+1/2'
loop_
_atom_site_label
_atom_site_fract_x
_atom_site_fract_y
_atom_site_fract_z
Pr1 0.0284 0.5739 0.2427
Pr2 0.1147 0.2165 0.0149
Pr3 0.1339 0.6686 0.7319
Si1 0.0469 0.2050 0.5259
```

Most intense lines, 10 to 90 degrees two-theta, in order of rising 2θ:
(3 1 1), 2θ = 26.80°, intensity 39
(2 3 1), 2θ = 29.57°, intensity 100
(3 3 0), 2θ = 30.38°, intensity 24
(1 1 2), 2θ = 30.65°, intensity 59
(2 4 0), 2θ = 32.08°, intensity 60
(4 1 1), 2θ = 32.94°, intensity 72
(1 3 2), 2θ = 36.94°, intensity 31
(3 5 2), 2θ = 51.96°, intensity 27

***

3.
Diffraction record for Er2Al2SnRh5. The X-ray powder pattern is simulated, not measured: it uses DFT lattice parameters and positions (PBE) and Cu Kα.

Structure:
```
data_Er2Al2SnRh5
_space_group_name_H-M_alt 'P 4/m b m'
_space_group_IT_number 127
_space_group_name_Hall '-P 4 2ab'
_cell_length_a 9.8572
_cell_length_b 9.8572
_cell_length_c 3.5251
_cell_angle_alpha 90.00
_cell_angle_beta 90.00
_cell_angle_gamma 90.00
loop_
_atom_site_label
_atom_site_fract_x
_atom_site_fract_y
_atom_site_fract_z
Er1 0.1751 0.3249 0.0000